Dear Neighbors, This is Why I Was In The Backyard Posing Like Wonder Woman Today

“If you pretend to be someone long enough, it’s not pretending.”

That’s what Sheriff Shelby Parlow told the whore with the heart of gold struggling to pull herself back onto the path of righteousness the other night on FX network’s Justified.

If You Pretend To Be Someone Long Enough, It’s Not Pretending.

What the good sheriff didn’t tell the wayward lass was exactly how long you have to pretend before you’re no longer pretending.

How long do you have to fake it before you make it?

Turns out it doesn’t take nearly as long as you might think:

Inserted here: data records =
/*
Theoretical powder X-ray diffraction pattern
Compound: Na4TaZnSi2PO12
Radiation: Cu Kα, 1.54184 Å
Structure: a GGA-PBE-relaxed structure
Neutral-atom scattering factors, no anomalous dispersion.

Lattice parameters (Å, degrees): 15.612 9.222 9.084 90.00 124.95 90.00
Space group Cc (No. 9)
Inequivalent atoms, fractional coordinates:
Na (0.000, 0.043, 0.000) [4 per cell]
Na (0.171, 0.382, 0.832) [4 per cell]
Na (0.362, 0.086, 0.731) [4 per cell]
Na (0.431, 0.256, 0.099) [4 per cell]
Ta (0.277, 0.251, 0.261) [4 per cell]
Zn (0.077, 0.239, 0.462) [4 per cell]
Si (0.171, 0.047, 0.866) [4 per cell]
Si (0.316, 0.399, 0.658) [4 per cell]
P (0.022, 0.390, 0.071) [4 per cell]
O (0.011, 0.449, 0.526) [4 per cell]
O (0.017, 0.365, 0.229) [4 per cell]
O (0.094, 0.046, 0.392) [4 per cell]
O (0.099, 0.160, 0.705) [4 per cell]
O (0.127, 0.320, 0.108) [4 per cell]
O (0.211, 0.338, 0.629) [4 per cell]
O (0.244, 0.070, 0.334) [4 per cell]
O (0.261, 0.139, 0.053) [4 per cell]
O (0.312, 0.363, 0.470) [4 per cell]
O (0.318, 0.418, 0.168) [4 per cell]
O (0.415, 0.329, 0.838) [4 per cell]
O (0.434, 0.197, 0.398) [4 per cell]

Peak list (10 most intense, 2θ from 15° to 90°, in order of falling intensity)
19.6 deg, I = 1000, (2 0 -2)
31.1 deg, I = 877, (3 1 -3)
19.4 deg, I = 589, (1 1 1)
33.8 deg, I = 537, (1 3 1)
31.3 deg, I = 419, (5 1 -1)
34.1 deg, I = 388, (2 0 2)
19.2 deg, I = 323, (0 2 0)
27.6 deg, I = 299, (2 2 -2)
46.9 deg, I = 249, (6 2 0)
59.0 deg, I = 205, (6 4 0)
*/
Back to the page =

Just two minutes a day according to Social Psychologist Amy Cuddy who has spent a lifetime studying non verbal signals and body language.

In this TED video, Cuddy explains her surprise discovery that the most significant audience for the subtle cues of body language may not be those around us, but ourselves.

'''
(1)
Computed X-ray diffraction stick pattern
Compound: AcErLuPb
Radiation: a wavelength of 1.5418 Å
Structure: a DFT-relaxed cell (PBE, Alexandria)

Largest 9 diffraction maxima, most intense first, 15° ≤ 2θ ≤ 90°:
- (2 2 0), 2θ = 32.14°, I 100
- (4 2 2), 2θ = 57.31°, I 40
- (4 0 0), 2θ = 46.10°, I 19
- (6 2 0), 2θ = 76.50°, I 17
- (4 4 0), 2θ = 67.24°, I 12
- (4 4 4), 2θ = 85.40°, I 4
- (2 0 0), 2θ = 22.58°, I 1
- (4 2 0), 2θ = 51.92°, I 1
- (2 2 2), 2θ = 39.64°, I 1

Cell and atoms:
a b c (Å): 7.876 7.876 7.876
angles (deg): 90.00 90.00 90.00
Space group F-43m (No. 216)
Symmetry-distinct sites (fractional):
Ac (0.000, 0.000, 0.000) (multiplicity 4)
Er (0.250, 0.250, 0.250) (multiplicity 4)
Lu (0.250, 0.250, 0.750) (multiplicity 4)
Pb (0.000, 0.000, 0.500) (multiplicity 4)

***

(2)
Computed X-ray diffraction stick pattern
Compound: Na2CaBiS4
Radiation: a wavelength of 1.5418 Å
Structure: a DFT-relaxed cell (PBE, Alexandria)

Largest 10 diffraction maxima, most intense first, 15° ≤ 2θ ≤ 90°:
- (2 2 0), 2θ = 31.20°, I 100
- (2 2 4), 2θ = 44.73°, I 47
- (2 1 1), 2θ = 25.94°, I 37
- (0 0 2), 2θ = 15.48°, I 24
- (0 1 3), 2θ = 25.74°, I 17
- (2 1 3), 2θ = 34.24°, I 15
- (2 2 2), 2θ = 34.99°, I 14
- (2 3 1), 2θ = 40.66°, I 14
- (0 2 2), 2θ = 26.70°, I 14
- (2 0 2), 2θ = 27.18°, I 13

Cell and atoms:
a b c (Å): 8.010 8.222 11.445
angles (deg): 90.00 90.00 90.00
Space group Imma (No. 74)
Symmetry-distinct sites (fractional):
Na (0.000, 0.000, 0.000) (multiplicity 4)
Na (0.250, 0.250, 0.250) (multiplicity 4)
Ca (0.000, 0.000, 0.500) (multiplicity 4)
Bi (0.250, 0.250, 0.750) (multiplicity 4)
S (0.000, 0.011, 0.748) (multiplicity 8)
S (0.244, 0.250, 0.512) (multiplicity 8)
'''
• Back to the article:

Researchers have long known that nonverbal expressions of power and dominance can dramatically alter how we are perceived by others in almost every social setting from job interviews to the workplace to family dinners.

But she documents a link between testosterone, the hormone of dominance, cortisol, the stress hormone, and how just a couple of minutes assuming a non verbal expression of power and dominance can change our actual body chemistry, boosting testosterone and lowering cortisol. In turn increasing our sex drive, our appetite for risk, our social engagement and decreasing our stress reactions.

If we pretend to be powerful, confident and assertive for just two minutes a day, our body’s physiology changes in structural ways that make us become more powerful, confident and assertive.

Our minds change our bodies, but our bodies can also change our minds.

Raising both hands to the sky, head and body uplifted, is a universal cue for pride and joy. Even children and the blind who have never seen such a display by others will raise their arms at moments of celebration.

The gesture itself is called pride and simply standing with your arms in the air, face upturned to the sky, floods the brain with same joy chemicals as if you had actually done something worth celebrating. As will assuming any of a half dozen other open, expansive, dominant body poses, including standing in your backyard, face turned toward the sun, hands on your hips while the neighbors pretend not to notice.

Our minds change our bodies. Our bodies change our minds. Our minds change our behaviors. And our behaviors change our outcomes.

<<<
Entry 1:
# Cs5FeO4
Simulated X-ray powder pattern, Cu Kα, 1.54184 Å. Input: a crystal structure in Alexandria, relaxed with GGA+U.
Lines closer than 0.1° are merged.

Principal peaks in the range 10 to 80 degrees two-theta, by intensity:
two_theta, d/Å, intensity
30.34, 2.946, 100
25.19, 3.536, 67
27.17, 3.282, 44
25.66, 3.471, 42
27.46, 3.249, 38
29.48, 3.029, 37
34.85, 2.574, 37
52.37, 1.747, 33
24.26, 3.669, 32
29.93, 2.985, 27

Atomic structure:
Unit cell a=11.4986 b=13.1404 c=7.4440 alpha=90.00 beta=98.85 gamma=90.00
Fractional positions:
Cs1 0.0027 0.1344 0.4300
Cs2 0.0027 0.3656 0.9300
Cs3 0.1331 0.0694 0.9522
Cs4 0.1331 0.4306 0.4522
Cs5 0.2700 0.7023 0.5267
Cs6 0.2700 0.7977 0.0267
Cs7 0.3492 0.1765 0.6588
Cs8 0.3492 0.3235 0.1588
Cs9 0.4919 0.5732 0.2386
Cs10 0.4919 0.9268 0.7386
Cs11 0.5081 0.0732 0.2614
Cs12 0.5081 0.4268 0.7614
Cs13 0.6508 0.6765 0.8412
Cs14 0.6508 0.8235 0.3412
Cs15 0.7300 0.2023 0.9733
Cs16 0.7300 0.2977 0.4733
Cs17 0.8669 0.5694 0.5478
Cs18 0.8669 0.9306 0.0478
Cs19 0.9973 0.6344 0.0700
Cs20 0.9973 0.8656 0.5700
Fe1 0.2462 0.5306 0.8890
Fe2 0.2462 0.9694 0.3890
Fe3 0.7538 0.0306 0.6110
Fe4 0.7538 0.4694 0.1110
O1 0.1112 0.5922 0.7433
O2 0.1112 0.9078 0.2433
O3 0.2259 0.5293 0.1425
O4 0.2259 0.9707 0.6425
O5 0.2613 0.1106 0.3153
O6 0.2613 0.3894 0.8153
O7 0.3888 0.6053 0.8592
O8 0.3888 0.8947 0.3592
O9 0.6112 0.1053 0.6408
O10 0.6112 0.3947 0.1408
O11 0.7387 0.6106 0.1847
O12 0.7387 0.8894 0.6847
O13 0.7741 0.0293 0.3575
O14 0.7741 0.4707 0.8575
O15 0.8888 0.0922 0.7567
O16 0.8888 0.4078 0.2567

---

Entry 2:
# Cs5FeO4
Simulated X-ray powder pattern, Cu Kα, 1.54184 Å. Input: a crystal structure in Alexandria, relaxed with GGA+U.
Lines closer than 0.1° are merged.

Principal peaks in the range 10 to 80 degrees two-theta, by intensity:
two_theta, d/Å, intensity
28.10, 3.175, 100
25.76, 3.458, 56
30.51, 2.930, 49
26.82, 3.324, 46
28.63, 3.118, 36
35.99, 2.495, 29
40.85, 2.209, 17
43.58, 2.077, 15
25.91, 3.439, 15
48.17, 1.889, 12

Atomic structure:
Unit cell a=9.2130 b=10.8453 c=11.3521 alpha=90.00 beta=97.97 gamma=90.00
Fractional positions:
Cs1 0.0493 0.1707 0.0244
Cs2 0.0493 0.3293 0.5244
Cs3 0.1071 0.9998 0.3579
Cs4 0.1071 0.5002 0.8579
Cs5 0.2618 0.6437 0.2430
Cs6 0.2618 0.8563 0.7430
Cs7 0.3982 0.5314 0.6367
Cs8 0.3982 0.9686 0.1367
Cs9 0.4324 0.1880 0.5199
Cs10 0.4324 0.3120 0.0199
Cs11 0.5676 0.6880 0.9801
Cs12 0.5676 0.8120 0.4801
Cs13 0.6018 0.0314 0.8633
Cs14 0.6018 0.4686 0.3633
Cs15 0.7382 0.1437 0.2570
Cs16 0.7382 0.3563 0.7570
Cs17 0.8929 0.0002 0.6421
Cs18 0.8929 0.4998 0.1421
Cs19 0.9507 0.6707 0.4756
Cs20 0.9507 0.8293 0.9756
Fe1 0.2236 0.1747 0.7646
Fe2 0.2236 0.3253 0.2646
Fe3 0.7764 0.6747 0.7354
Fe4 0.7764 0.8253 0.2354
O1 0.0342 0.2434 0.7810
O2 0.0342 0.2566 0.2810
O3 0.2006 0.0759 0.6193
O4 0.2006 0.4241 0.1193
O5 0.2922 0.0693 0.9009
O6 0.2922 0.4307 0.4009
O7 0.3644 0.1967 0.2502
O8 0.3644 0.3033 0.7502
O9 0.6356 0.6967 0.2498
O10 0.6356 0.8033 0.7498
O11 0.7078 0.5693 0.5991
>>>

Your grandmother told you to sit up straight and that clothes make the man.

Dale Carnegie told you to “Act Enthusiastic and You’ll Be Enthusiastic.”

Ronald Reagan told you that he couldn’t imagine actually being President without having first been an actor to prepare for the role.

We are who we pretend to be.

We are the lie we tell the world and we’ve known it all along.

Now we know how long it takes for the lie to become the truth.

Terry LancasterTerry Lancaster is the VP of Making S#!% Happen at Instant Events Automotive Advertising, father of 3 teenage daughters and a Beer League Hockey All Star, as if there could ever be such a thing.

You can connect with Terry on FaceBook, LinkedIn, Twitter and Google+.
